May 26, 2023

**Someone pasted data records at this point**
........
# Li7V3P8O29

Crystalline Li7V3P8O29 at its relaxed geometry (GGA+U, Materials Project).

a = 9.8993 Å, b = 9.8623 Å, c = 13.9486 Å
α = 89.67°, β = 89.87°, γ = 59.57°
Atoms (fractional coordinates):
Li 0.9060 0.7593 0.0631
Li 0.7650 0.8991 0.5616
Li 0.9033 0.3293 0.5608
Li 0.6722 0.6691 0.8855
Li 0.7676 0.3215 0.0618
Li 0.3209 0.9073 0.0599
Li 0.6786 0.2290 0.4358
Li 0.3397 0.7611 0.5594
Li 0.3209 0.3454 0.6125
Li 0.3420 0.3458 0.1115
Li 0.2353 0.0872 0.4372
Li 0.0913 0.2312 0.9356
Li 0.9855 0.9603 0.9965
Li 0.0192 0.9332 0.4918
V 0.5645 0.4379 0.2510
V 0.4336 0.5652 0.7547
V 0.5651 0.0027 0.7516
V 0.4414 0.9971 0.2475
V 0.0037 0.5632 0.2536
V 0.9981 0.4392 0.7477
P 0.9077 0.7753 0.8465
P 0.7734 0.9113 0.3438
P 0.9156 0.3132 0.3415
P 0.6729 0.6661 0.1267
P 0.6584 0.6705 0.6275
P 0.7748 0.3142 0.8446
P 0.6836 0.2276 0.6576
P 0.3185 0.9097 0.8419
P 0.6917 0.0870 0.1586
P 0.3115 0.7766 0.3448
P 0.2171 0.6950 0.1601
P 0.3341 0.3268 0.3721
P 0.3349 0.3308 0.8726
P 0.0889 0.6927 0.6611
P 0.2294 0.0901 0.6555
P 0.0917 0.2274 0.1563
O 0.9889 0.8006 0.5814
O 0.9140 0.7458 0.3383
O 0.7927 0.9862 0.0782
O 0.7453 0.9212 0.8338
O 0.8913 0.6285 0.8347
O 0.8207 0.6659 0.1679
O 0.9041 0.4732 0.3271
O 0.9994 0.2346 0.0679
O 0.9210 0.3305 0.8387
O 0.6607 0.8183 0.6708
O 0.6191 0.9108 0.3302
O 0.8089 0.5192 0.6615
O 0.6711 0.6822 0.0191
O 0.6378 0.6866 0.5213
O 0.6723 0.5176 0.1599
O 0.4828 0.8927 0.8302
O 0.5213 0.8165 0.1680
O 0.7539 0.3280 0.3413
O 0.7840 0.2116 0.7518
O 0.7708 0.2317 0.5692
O 0.7755 0.2300 0.9348
O 0.6268 0.4808 0.8321
O 0.5136 0.6672 0.6745
O 0.6624 0.2556 0.1555
O 0.4659 0.6223 0.3341
O 0.3329 0.9210 0.3334
O 0.7859 0.0132 0.2576
O 0.7756 0.9937 0.4354
O 0.2403 0.9937 0.5688
O 0.6657 0.0810 0.6561
O 0.5193 0.3765 0.6679
O 0.3375 0.7464 0.8413
O 0.4852 0.3234 0.3404
O 0.3672 0.5319 0.1663
O 0.2059 0.8016 0.0788
O 0.2249 0.7933 0.4373
O 0.1979 0.7886 0.2587
O 0.2551 0.6700 0.6588
O 0.4779 0.1818 0.8258
O 0.5276 0.1016 0.1683
O 0.3423 0.4735 0.8265
O 0.3467 0.3272 0.9793
O 0.3195 0.3217 0.4792
O 0.1878 0.4748 0.3255
O 0.3742 0.1093 0.6681
O 0.3313 0.1807 0.3276
O 0.0758 0.6687 0.1593
O 0.0149 0.7793 0.7609
O 0.9840 0.7807 0.9383
O 0.1037 0.5292 0.6643
O 0.1852 0.3339 0.8377
O 0.1063 0.3754 0.1684
O 0.2581 0.0818 0.1538
O 0.2328 0.0020 0.9303
O 0.2140 0.0030 0.7497
O 0.0812 0.2531 0.6534
O 0.0068 0.2282 0.4310
O 0.0072 0.2057 0.2490

Computed properties:
- formation enthalpy at 0 K (eV/atom) = -2.6834
- space group = No. 1
- distance to the lowest polymorph of the same formula (kJ/mol of formula units) = 43

# Li7V3P8O29

Crystalline Li7V3P8O29 at its relaxed geometry (GGA+U, Materials Project).

a = 9.8079 Å, b = 9.8112 Å, c = 13.8851 Å
α = 89.95°, β = 90.05°, γ = 60.25°
Atoms (fractional coordinates):
Li 0.7616 0.8965 0.5618
Li 0.9017 0.3348 0.5663
Li 0.6788 0.6621 0.8840
Li 0.7669 0.3223 0.0602
Li 0.3256 0.9065 0.0607
Li 0.6662 0.2373 0.4420
Li 0.3343 0.7645 0.5650
Li 0.6572 0.1042 0.9395
Li 0.2346 0.6632 0.9348
Li 0.0974 0.6641 0.4403
........
**The data records stop here**

hardwood floor

The article is interrupted by records of crystals.
____________
# Li2MnCo3O8 PBE+U optimized geometry
# M_tot in μB/atom: 0.222
# Energy above the lowest structure with this stoichiometry in eV per atom: 0.113
# E_form in eV/atom: -1.57
data_Li2MnCo3O8
_chemical_formula_sum 'Li4 Mn2 Co6 O16'
_cell_length_a 5.658
_cell_length_b 5.747
_cell_length_c 10.271
_cell_angle_alpha 75.88
_cell_angle_beta 75.13
_cell_angle_gamma 61.56
_space_group_name_H-M_alt 'P -1'
_space_group_IT_number 2
_space_group_name_Hall '-P 1'
loop_
_atom_site_label
_atom_site_type_symbol
_atom_site_fract_x
_atom_site_fract_y
_atom_site_fract_z
Li1 Li 0.245 0.250 0.251
Li2 Li 0.246 0.256 0.749
Mn1 Mn 0.000 0.000 0.500
Mn2 Mn 0.500 0.500 0.000
Co1 Co 0.000 0.000 0.000
Co2 Co 0.000 0.500 0.000
Co3 Co 0.000 0.500 0.500
Co4 Co 0.500 0.000 0.000
Co5 Co 0.500 0.000 0.500
Co6 Co 0.500 0.500 0.500
O1 O 0.130 0.641 0.603
O2 O 0.137 0.142 0.601
O3 O 0.142 0.604 0.110
O4 O 0.144 0.124 0.097
O5 O 0.360 0.895 0.391
O6 O 0.369 0.354 0.406
O7 O 0.372 0.862 0.897
O8 O 0.382 0.346 0.896

----------

[1]
The following is a DFT calculation (r²SCAN) of Y2HfO5 after structural relaxation.

a = 7.4613 Å, b = 3.7344 Å, c = 15.6501 Å
α = 90.00°, β = 90.00°, γ = 90.00°
Sites, in units of the cell vectors:
Y: 0.0944 0.2500 0.0890
Y: 0.1412 0.2500 0.7399
Y: 0.3588 0.7500 0.2399
Y: 0.4056 0.7500 0.5890
Y: 0.5944 0.2500 0.4110
Y: 0.6412 0.2500 0.7601
Y: 0.8588 0.7500 0.2601
Y: 0.9056 0.7500 0.9110
Hf: 0.1238 0.2500 0.4284
Hf: 0.3762 0.7500 0.9284
Hf: 0.6238 0.2500 0.0716
Hf: 0.8762 0.7500 0.5716
O: 0.0900 0.7500 0.4663
O: 0.0966 0.7500 0.1791
O: 0.0974 0.7500 0.6534
O: 0.1434 0.7500 0.0037
O: 0.2016 0.7500 0.8301
O: 0.2984 0.2500 0.3301
O: 0.3566 0.2500 0.5037
O: 0.4026 0.2500 0.1534
O: 0.4034 0.2500 0.6791
O: 0.4100 0.2500 0.9663
O: 0.5900 0.7500 0.0337
O: 0.5966 0.7500 0.3209
O: 0.5974 0.7500 0.8466
O: 0.6434 0.7500 0.4963
O: 0.7016 0.7500 0.6699
O: 0.7984 0.2500 0.1699
O: 0.8566 0.2500 0.9963
O: 0.9026 0.2500 0.3466
O: 0.9034 0.2500 0.8209
O: 0.9100 0.2500 0.5337

Computed properties:
space group: Pnma, No. 62
energy: -587.47 eV per cell
formation energy from the elements: -3.903 eV per atom

[2]
The following is a DFT calculation (r²SCAN) of VCr after structural relaxation.

a = 2.5531 Å, b = 2.5531 Å, c = 4.0020 Å
α = 90.00°, β = 90.00°, γ = 110.71°
Sites, in units of the cell vectors:
V: 0.0000 0.0000 0.0000
Cr: 0.5000 0.5000 0.5000

Computed properties:
space group: Cmmm, No. 65
energy: -28.98 eV per cell
formation energy from the elements: 0.091 eV per atom

----------

Density functional theory data (GGA-PBE) for a geometry-optimized Li2TiTe3O12 structure.

Geometry as POSCAR:
```
Li2TiTe3O12
1.0
5.017 0.000 0.000
0.000 8.445 0.000
-0.069 0.000 5.216
Li Ti Te O
2 1 3 12
Direct
0.000 0.000 0.000
0.500 0.120 0.000
0.000 0.210 0.500
0.000 0.383 0.000
0.500 0.693 0.000
0.500 0.893 0.500
0.196 0.370 0.691
0.202 0.212 0.172
0.248 0.547 0.142
0.259 0.045 0.639
0.293 0.873 0.172
0.296 0.722 0.682
0.704 0.722 0.318
0.707 0.873 0.828
0.741 0.045 0.361
0.752 0.547 0.858
____________

Cleaning your hardwood floor

## Next to the piece, the page also holds calculated crystals
+++
Density functional theory data (GGA-PBE) for an optimized crystal structure of SrHg2Cl2O2.

Cell lengths 8.454, 7.164, 11.785 Å; angles 90.00, 122.09, 90.00 degrees
Sites, in units of the cell vectors:
Sr  0.151  0.124  0.375
Sr  0.151  0.376  0.875
Sr  0.849  0.624  0.125
Sr  0.849  0.876  0.625
Hg  0.235  0.563  0.607
Hg  0.235  0.937  0.107
Hg  0.395  0.670  0.368
Hg  0.395  0.830  0.868
Hg  0.605  0.170  0.132
Hg  0.605  0.330  0.632
Hg  0.765  0.063  0.893
Hg  0.765  0.437  0.393
Cl  0.088  0.181  0.627
Cl  0.088  0.319  0.127
Cl  0.455  0.600  0.112
Cl  0.455  0.900  0.612
Cl  0.545  0.100  0.388
Cl  0.545  0.400  0.888
Cl  0.912  0.681  0.873
Cl  0.912  0.819  0.373
O  0.151  0.682  0.730
O  0.151  0.818  0.230
O  0.327  0.079  0.997
O  0.327  0.421  0.497
O  0.673  0.579  0.503
O  0.673  0.921  0.003
O  0.849  0.182  0.770
O  0.849  0.318  0.270
+++

One of the more monotonous, yet exceptionally significant, undertakings in the wood floor restoring process is sanding. Sanding, which when done accurately tenderly eliminates the external layer of the floor, is the most important phase in reestablishing a dull, dead, battered or misused floor. While the hardware utilized for sanding, drum sanders for instance, are a long way from fragile, the interaction requires a specialist like that can be consistent handon in taking care of your hardwood flooring project over vivacious, graceless, lopsided sanding can cause more damage than anything else!

The actual cycle might require a few days, contingent upon the state of your floor and the size of the area being cleaned. An expression of caution – this is a grimy, loud interaction. All entryways and aviation routes ought to be fixed to keep dust from running away to different rooms.

Prior to sanding it is critical to initially clear the floor and afterward examine the floor cautiously. Jutting nails or other garbage can harm the sanding machine. Holes or gouges ought to filled before sand. Any removable trim or wall forming that might impede the sander getting to the region of the floor nearest to the wall ought to be taken out.

As the floor is sanded, specialists will bit by bit diminish the coarseness of the sandpaper being utilized until they utilize the best grade that anyone could hope to find. When the floor has been sanded agreeable to them, it will vacuum and afterward polished. Polishing requires one more specific machine – a cushion. Polishing will set up the floor for the subsequent stage.

Your following stage will rely upon the look and feel you are going for. You can decide to apply an unmistakable or shaded floor sealer for an inconspicuous difference in variety. You could choose to totally change the shade of the floor and use floor stain or stain. Or on the other hand you could decide to basic clean utilizing either a glue wax or cleaning arrangement. Whichever course you head, you are in for another multi-step process, as each a large number of layers of sealer, stain, clean or wax should be cautiously and equally applied, dried and afterward one more layer applied over it.

Irrefutably the last move toward treating your hardwood floors is finishing. As referenced in the past section, cleaning can be accomplished with either a story wax or a cleaning arrangement. Floor wax is known for its enduring powers, however it ought to be noticed that it very well may be delicate to water and an excessive amount of light.